### Request
Please set down everything further down character by character.

### Given
=====
Formula: C4H7NO2
Source: the Open Molecules 2025 dataset
Level of theory: ωB97M-V/def2-TZVPD

Structure (XYZ):
```
14
Properties=species:S:1:pos:R:3
C -0.7357 0.1260 1.8437
C -0.5408 0.6777 0.4467
O -1.0238 1.7356 0.1050
N 0.2228 -0.0614 -0.4648
C 0.4072 0.5075 -1.7960
C 0.7586 -1.3083 -0.1908
O 1.3940 -1.9609 -0.9859
H -1.2983 -0.8132 1.8302
H -1.3077 0.8707 2.3973
H 0.2155 -0.0491 2.3560
H 1.2533 0.0076 -2.2637
H -0.4878 0.3526 -2.4049
H 0.5887 1.5783 -1.7034
H 0.5540 -1.6634 0.8305
```

The molar mass comes out at 101.10 g mol⁻¹. As for the total charge: 0. The electronic energy is -9847.02402 eV. The max |F| comes out at 0.4 eV/Å. For the HOMO-LUMO gap, the calculation gives 11.10 eV.
=====

### Worked solution
Formula: C4H7NO2
Source: the Open Molecules 2025 dataset
Level of theory: ωB97M-V/def2-TZVPD

Structure (XYZ):
```
14
Properties=species:S:1:pos:R:3
C -0.7357 0.1260 1.8437
C -0.5408 0.6777 0.4467
O -1.0238 1.7356 0.1050
N 0.2228 -0.0614 -0.4648
C 0.4072 0.5075 -1.7960
C 0.7586 -1.3083 -0.1908
O 1.3940 -1.9609 -0.9859
H -1.2983 -0.8132 1.8302
H -1.3077 0.8707 2.3973
H 0.2155 -0.0491 2.3560
H 1.2533 0.0076 -2.2637
H -0.4878 0.3526 -2.4049
H 0.5887 1.5783 -1.7034
H 0.5540 -1.6634 0.8305
```

The molar mass comes out at 101.10 g mol⁻¹. As for the total charge: 0. The electronic energy is -9847.02402 eV. The max |F| comes out at 0.4 eV/Å. For the HOMO-LUMO gap, the calculation gives 11.10 eV.